A new wave of innovation amidst Covid - 19

The world is unfolding the canvas with examples from the past, where pandemics and economic recessions have wreaked havoc to the social stability and change of course of operations in governments, economies and businesses. Meanwhile, it has also fuelled the cause for a whole new set of ideas and concepts to different organs of productive sectors that can have an impact over the innovative aspects. The outbreak of Covid-19 has created many problems that people have not envisaged anytime lately, but it has showed a scope for innovations to the world of sufferings with new solutions.
Need for Revamping Supply Chain process
While examining the enduring concerns in the supply chain process, we can see that a definitive and resilient approach has not been handled in the right way. It can be observed that the global supply chain process has imparted much focus to maintaining the cost lower at every possible step. In the context of Covid-19 outbreak, this lack for a resilient approach is even more evident. The sharp decline in the supply has created a contagion effect that calls for a proper distributed, organized and
accountable transfer of items. This can be achieved by utilizing sophisticated emerging technologies such as robotics and blockchain that helps in enveloping multiple vendors and buyers in the supply chain network. Moreover, such advancements will further fuel the adoption of application of delivery drones to meet the purpose of needs and demands.
Novel working practices in Fintech
Since the outbreak of coronavirus has started affecting the workplaces, companies have come up with options for employees to work from home. It is estimated that almost a larger part of the companies now already have a number of work-from-homers who can possibly act as a catalyst for orchestrating mobile-first banking. B2B software-as-a-service providers will no longer rely on the one-off sales and ensures resilience.
“In spite of the slowdown of growth for some sectors, all mission-critical platforms are likely to be stabilising in this model. Although the overall picture looks dull, we firmly believe the best companies will be able to raise capital,” Josh Bell, General Partner, Dawn Capital.
**Calculated crystals, kept here for reference**
- - -
--- w ---
# SmEr3

A relaxed SmEr3 crystal (PBE, the Materials Project database).

```
8
Lattice="3.603 -6.240 0.000 3.603 6.240 0.000 0.000 0.000 5.642" Properties=species:S:1:pos:R:3 pbc="T T T"
Sm 3.603 2.080 4.232
Sm 3.603 -2.080 1.411
Er 1.788 1.032 1.411
Er 5.418 1.032 1.411
Er 3.603 4.176 1.411
Er 5.418 -1.032 4.232
Er 1.788 -1.032 4.232
Er 3.603 -4.176 4.232
```

--- x ---
# SmEr3

A relaxed SmEr3 crystal (PBE, the Materials Project database).
- - -
As aforementioned, the remote working of employees as well as online education will never be the same in the post Covid-19 era. Meanwhile, it is also important to notice the mental preparedness and productivity of knowledge workforce who has to work remotely for an indefinite period. A number of tech companies such as Github are run remotely on a collaborative model. A sophisticated and collective effort of health companies and use of business networking applications can be utilized in solving the mentoring and growth challenges of remote workers. This will bring a new dimension to solve the problems associated with productivity and mental health of workers engaged in doing job remotely.
Covid-19 has caused unprecedented tribulation for the global economy as well as individuals and families of infected. In this scenario, the pandemic has pushed companies to explore some of the innovative aspects within which it ensures the health and safety of its workforce, partners and suppliers. The impact that hits biological, psychological and economic dimensions will have its ripple effect on global productivity, but nevertheless it also provides room for firms to capitalize on the undergoing changes.